The perception that early childhood educators are little more than babysitters is, in our opinion, completely wrong.
After parents drop their children off at the friendly neighbourhood daycare centre, early childhood educators (ECEs) do not spend the day talking to their boyfriends on the phone and doing their nails, while little Johnny and little Joanie sit in front of a TV.
ECEs are, first and foremost, educators. Teachers. And while teachers' unions might not want to hear or accept this, we feel it is an undeniable fact.
Because they spend more time with Canada's youngest citizens than their parents do, we've tasked ECEs with introducing our children to fundamental concepts like literacy, numeracy, science, art, hygiene and socialization.
But more importantly, ECEs introduce children to education itself, setting the stage for how kids approach learning. Outstanding childcare has the potential to instill a lifelong love of it; poor childcare can do the opposite.
Most of the important things we learn in life, we learn before the age of five, and most children today are learning those concepts in a daycare centre.
And yet, among the countries in the Organisation for Economic Co-operation and Development (OECD), Canada ranks fifth from the bottom in childcare spending as a percentage of GDP. We pay more for daycare than we do university, yet ECEs are paid a pittance and often don't receive benefits.
It makes absolutely no sense.
Canada is a nation of workers. Three-quarters of women are in the workforce and even more men. But to allow that, two-parent families are paying nearly $3,000 a month on average for childcare. This keeps many women out of the workforce - which means less taxable income - and less disposable income for families, which means lower revenues from sales taxes.
Canada spends half the OECD average on childcare and one third of the recommended minimum one per cent of GDP for children up to age five, according to a study from the Centre for Policy Alternatives. This despite studies that show for every extra government dollar spent on childcare, the GDP gets a boost of between $1.75 and $2.30, and even more over the long term.
This is a bigger boost than stimulus spending on manufacturing.
Canada's market-driven approach to regulated childcare leaves parents scrambling for limited daycare spaces, while paying a premium for the privilege (and often settling for substandard, unregulated care, with little to no education component).
Crystal structures, as found in the file:
'''
Entry 1:
Theoretical powder X-ray diffraction pattern of BaMgAl2Cd for Cu Kα (λ = 1.5418 Å), from the GGA-PBE geometry in Alexandria.
Kinematic intensities with the Lorentz-polarization factor, no thermal factor.

Main lines, most intense first (10° ≤ 2θ ≤ 90°):
Position (°2θ), Rel. int.
30.8, 100
26.9, 70
29.0, 61
29.5, 60
14.7, 45
37.7, 31
41.9, 29
48.6, 29

Structural model:
Cell: 4.595 4.775 12.084 Å, 90.00 90.00 90.00°
Fractional positions:
Ba  0.000  0.000  0.000
Ba  0.500  0.500  0.500
Mg  0.000  0.500  0.742
Mg  0.500  0.000  0.242
Al  0.000  0.000  0.617
Al  0.000  0.500  0.243
Al  0.500  0.000  0.743
Al  0.500  0.500  0.117
Cd  0.000  0.000  0.385
Cd  0.500  0.500  0.885

Entry 2:
Theoretical powder X-ray diffraction pattern of Ba2Al12CdPt3 for Cu Kα (λ = 1.5418 Å), from the GGA-PBE geometry in Alexandria.
Kinematic intensities with the Lorentz-polarization factor, no thermal factor.

Main lines, most intense first (10° ≤ 2θ ≤ 90°):
Position (°2θ), Rel. int.
22.3, 100
23.9, 88
38.2, 69
45.6, 41
44.7, 30
60.2, 28
36.2, 27
60.9, 26

Structural model:
Cell: 8.159 8.159 8.159 Å, 70.55 70.55 70.55°
Fractional positions:
Ba  0.103  0.103  0.103
Ba  0.897  0.897  0.897
Al  0.146  0.630  0.630
Al  0.257  0.257  0.600
Al  0.257  0.600  0.257
Al  0.370  0.370  0.854
Al  0.370  0.854  0.370
Al  0.400  0.743  0.743
Al  0.600  0.257  0.257
Al  0.630  0.146  0.630
Al  0.630  0.630  0.146
Al  0.743  0.400  0.743
Al  0.743  0.743  0.400
Al  0.854  0.370  0.370
Cd  0.500  0.500  0.500
Pt  0.000  0.500  0.500
Pt  0.500  0.000  0.500
Pt  0.500  0.500  0.000

Entry 3:
Theoretical powder X-ray diffraction pattern of BaCeAlS4 for Cu Kα (λ = 1.5418 Å), from the GGA-PBE geometry in Alexandria.
Kinematic intensities with the Lorentz-polarization factor, no thermal factor.

Main lines, most intense first (10° ≤ 2θ ≤ 90°):
Position (°2θ), Rel. int.
19.2, 100
32.4, 47
26.6, 47
32.8, 43
39.1, 37
29.9, 34
34.6, 34
34.8, 32

Structural model:
Cell: 6.673 6.704 8.563 Å, 90.00 107.71 90.00°
Fractional positions:
Ba  0.236  0.250  0.434
Ba  0.764  0.750  0.566
Ce  0.276  0.250  0.948
Ce  0.724  0.750  0.052
Al  0.270  0.750  0.182
Al  0.730  0.250  0.818
S  0.070  0.750  0.921
S  0.075  0.750  0.353
S  0.499  0.504  0.772
S  0.499  0.996  0.772
S  0.501  0.004  0.228
S  0.501  0.496  0.228
S  0.925  0.250  0.647
S  0.930  0.250  0.079

Entry 4:
Theoretical powder X-ray diffraction pattern of BaAl2Cl8 for Cu Kα (λ = 1.5418 Å), from the GGA-PBE geometry in Alexandria.
Kinematic intensities with the Lorentz-polarization factor, no thermal factor.

Main lines, most intense first (10° ≤ 2θ ≤ 90°):
Position (°2θ), Rel. int.
10.7, 100
18.5, 38
16.1, 36
28.2, 27
30.2, 27
25.2, 24
34.4, 22
24.5, 22

Structural model:
Cell: 8.395 7.217 12.832 Å, 90.00 99.95 90.00°
Fractional positions:
Ba  0.000  0.151  0.250
Ba  0.000  0.849  0.750
Al  0.191  0.271  0.937
Al  0.191  0.729  0.437
Al  0.809  0.271  0.563
Al  0.809  0.729  0.063
Cl  0.062  0.201  0.605
Cl  0.062  0.799  0.105
'''
It leaves many Aboriginal children and children from lower-income families out entirely, which denies the kids a valuable introduction to education and limits their parents' job opportunities.
Quebec's $7-a-day childcare model is nearly as revered in La belle province as the national health-care system. But Quebec is finding the $2.3 billion it spends on its one-size-fits-all program is becoming too expensive - because everyone wants it.
So perhaps that model isn't best. But that doesn't mean there's a problem with universal childcare; it means there's a problem with the model, a problem with delivery, not concept. It's not an insurmountable challenge.
NDP Leader Tom Mulcair says a national $15-a-day daycare plan, modeled off Quebec's, would pay for itself. Given Quebec's experience, it looks like he might be wrong about that. Even if he is, we believe when it comes to early childhood education, the value for money is there.
And perhaps Mulcair's plan doesn't go far enough. Perhaps it's time to move from a market-driven system based on demand (which isn't cutting the mustard anyway) to one that acknowledges what we all know: Education is not just a right - it's a necessity. And yet governments are not taking it seriously.
Taking it seriously could mean rolling daycare right into the education systems of every province, so all children can get the educational benefits; so parents can keep more of their money; so ECEs can be paid a wage closer to the value of their job; so our GDP can benefit.
The value of a good education can't be understated.
Have we learned nothing?
-reprinted from Northern Life